"Fuck." Luca pull out another needle of hair from his tight as red oozes out from it, it has been almost half an hour by now, and yet he keeps on messing around with. His patience is growing through the roof by now, he felt insulted, he felt that he was being toyed in his grasp. Just when he was thinking, another elbow attack hit him by the back of his head, he turn around, furious but Vassi was no longer to be seen. He look at his father watching him above the arena, his father stare back, and that one look is like a button of a time machine. His thoughts flew out of the arena, away from this world and back to his first fight against his father…

That was the day, for the first time in his life, he met a formidable foe.

Someone who is as strong as him.

Someone who could hold a punch of his without breaking a bone.

Someone even stronger than him.

"You are too anxious, son." Luis grab his incoming fist by the wrist, Lucas let out a grunt but found out he was unable to set free. He let out a chopping kick but was dodged easily with a sidestep. He try to break free from his hand but it was almost impossible, those fingers were like metal claws, chaining him completely. He strike with another sidekick but was blocked by his elbow, Luis finally counter with a punch at his face, sending him stumbling into the corner of the room.

Lucas stood up once more, he didn't even care about the dribbling blood running on his nose, he dashes towards him throwing a barrage of punches but were all dodged fairly easily by him. He grab him by his head before elbowing him right in the face. "You know why you are losing?" He lift his head up by his hair, a stinging painful sensation can be felt on the scalp of his head. He isn't trying to stop though as he lunges another punch, but was interrupted by another elbow, he finally stopped.

Luis let out a sigh as he let go of him. "Your objective today is to let me move my foot away from this circle and you can't" He sighed. "You are too anxious, always thinking your punches will land. Sure you are quick, fast, strong with that dragon blood in your veins, but remember, it makes you predictable, and no punches will hit if they already know where is it going to land." Lucas struggles to get up from the floor, he spat out a mouthful of blood from his mouth as he leaned against the wall. "If you are so strong then tell me what should I do? Tell me then." "Be patient, keep calm. A true fighter are those who could predict any blow or hit before the enemy even strikes. Be the predictor, not the predicted."



I guess I will stay calm if he wanted so badly.

Lucas close his eyes and take a deep breath.

Vassi hid behind a wall, why did it went so quiet so sudden? A bead of swear trickled down from his cheeks, he felt genuine fear. He is still standing there, but he is not, moving. Not even a slightest move. Didn't he just make a huge racket moments ago? Why did he suddenly changed so fast.

Did he….. Found me?

That idea flashes into his head. But he immediately shook it out, trying to get rid of another round of panic attack. If not then why did he stay so still? Thousands and millions of possibilities flashes in his head, but he managed to stay calm. He knew if he is able to found him at this situation, he would be dead, the walls might be covering him for now, but it isn't much of a help if he is find out.

Ten minute and twelve seconds have passed.

Vassi counted the exact time in his heart. The game has changed from a waiting game into another waiting game, this time it was Lucas waiting for him. His heart gets more and more uneasy as every second ticks by, the unpredictable towards the unknown was genuine fear and he still isn't moving. He couldn't stay like this forever, after a lot of debate in his heart, he finally decided to move his spot, he stood up from his location and glide towards another, trying to be as swift as a snake with oiled belly. When he arrived at the other side of the wall, he pressed his hands against it to absorb the friction of the dash and tries to be as cautious as possible and avoid colliding to it. Although he tries his best to keep his move silent, that one slight press causes a chip of the wall to crumble and fell to the ground.


The small chip the size of a speck fell from the wall and hit to the ground, the small unnoticeable sound was enlarged in Lucas ear, right at the instance, everything shaped in his mind. The walls, Vassi, the chips, the cracks, as if he had gain a vision beyond the five senses. He let out a grin.

Unrelated to this piece: records of molecules.
........
DFT (ωB97M-V/def2-TZVPD) results for an isolated molecule of C18H16ClN3O3.

Each line ends with the Löwdin charge.
Positions of all 41 atoms, in Å:
C: 1.984 -0.915 -5.319  -0.12
H: 1.190 -0.676 -6.037  0.09
O: 1.466 -1.096 -4.027  -0.20
C: 0.520 -2.141 -3.950  -0.22
C: 0.058 -2.260 -2.500  -0.14
N: -0.604 -1.051 -2.077  0.08
C: -1.839 -1.043 -1.537  -0.47
O: -2.542 -2.026 -1.433  0.09
C: -2.310 0.325 -1.125  -0.07
C: -3.306 0.936 -1.874  -0.01
C: -3.794 2.182 -1.521  -0.06
C: -3.296 2.832 -0.402  -0.07
C: -2.318 2.231 0.364  -0.01
C: -1.817 0.976 0.011  -0.09
C: -0.812 0.387 0.871  -0.26
N: -0.305 0.939 1.938  0.21
C: 0.581 0.003 2.390  -0.30
N: 0.613 -1.061 1.627  0.10
O: -0.287 -0.825 0.641  0.04
C: 1.376 0.222 3.583  -0.17
C: 1.186 1.413 4.287  -0.02
C: 1.910 1.684 5.429  -0.08
C: 2.841 0.765 5.890  -0.08
C: 3.043 -0.420 5.207  -0.11
C: 2.317 -0.695 4.057  -0.60
Cl: 2.601 -2.177 3.235  0.74
H: 3.764 -1.142 5.557  0.10
H: 3.409 0.969 6.786  0.11
H: 1.750 2.609 5.962  0.10
H: 0.457 2.112 3.908  0.11
H: -1.925 2.708 1.248  0.11
H: -3.677 3.802 -0.123  0.11
H: -4.565 2.646 -2.118  0.11
H: -3.698 0.420 -2.738  0.12
H: -0.065 -0.203 -2.149  0.15
H: 0.927 -2.445 -1.860  0.13
H: -0.658 -3.077 -2.392  0.13
H: 0.971 -3.090 -4.278  0.13
H: -0.338 -1.921 -4.605  0.13
H: 2.684 -0.084 -5.260  0.09
H: 2.511 -1.813 -5.665  0.09

Atoms 1-3, force components in eV/Å:
C 0.0 0.0 -0.1
H 0.0 0.0 0.0
O -0.1 0.0 0.3

Calculated values
Orbital gap = 0.3345 Eh
Total energy = -42060.247 eV
Structure (SMILES) = COCCNC(=O)c1ccccc1-c1nc(-c2ccccc2Cl)no1
Relative energy (zero: lowest compared OMol25 entry of this formula, charge and spin) = 51.07 kcal per mole

=====

Density functional theory data (ωB97M-V with the def2-TZVPD basis set) for a molecular structure, C39H50F5N2O6PSi2 at a distorted geometry.

E in a.u.: -3496.5354
Charge: 0
Strongest force on any atom in Eh/bohr: 0.12425
Highest occupied orbital energy in Eh: -0.3315

Each line ends with the Löwdin charge.
Atoms and positions in Å:
C 3.57 0.71 4.54  -0.020
C -4.38 4.40 5.69  -0.293
N 2.64 -3.03 0.14  0.049
C 3.49 4.56 -5.70  -0.074
C -1.03 -3.99 0.66  -0.252
H -8.31 -0.48 0.44  0.084
C 2.76 0.09 -3.32  -0.010
C 2.77 6.72 -4.93  -0.293
H -3.47 3.51 7.41  0.114
H -3.99 -2.74 -3.02  0.118
C 1.74 -0.64 -2.71  -0.080
H -3.75 1.18 6.55  0.105
C 4.40 5.17 -6.56  -0.093
C -4.98 -5.24 -0.82  -0.151
C 5.91 1.18 4.91  -0.094
H 4.62 0.22 6.35  0.106
H -7.26 -2.63 2.24  0.136
H 8.43 -0.39 -1.33  0.102
H 6.95 2.15 3.29  0.106
O -5.36 -0.43 2.98  -0.160
H -8.83 -1.03 1.99  0.083
C -5.42 -1.30 1.79  -0.354
F 1.99 7.47 -4.14  0.060
H 0.86 -2.72 2.69  0.115
H -0.06 -4.61 0.89  0.103
N -7.99 -0.70 1.43  -0.045
H -6.95 -2.34 0.41  0.108
H -2.03 2.55 -0.06  0.001
H 6.19 -0.33 -0.25  0.092
C -4.68 1.82 4.71  -0.105
H -5.58 2.74 2.98  0.105
C 8.13 -2.34 -2.19  -0.023
H 3.02 -1.05 1.02  0.120
H -5.27 -6.23 -1.40  0.139
H -5.20 0.35 0.23  0.109
C -5.13 -4.01 -1.93  -0.199
Si -0.74 -2.05 0.85  0.561
H -0.86 0.29 -4.69  0.109
........

Before Vassi could even take a breath, the wall behind him shattered into pieces by a punch the force of a cannonball. Lucas dashes towards him, his fist balled like a wrecking iron ball and high up in the sky, his eyes fumed with excitement while his lips bent with happiness.

The predator has finally found his prey.

"Got you."